• Entries:
____________
Entry 1:
This entry pairs a crystal structure of Pr2Sn3 with its simulated PXRD pattern. Radiation: Cu Kα. Structure: DFT lattice parameters and positions (GGA-PBE).

Crystal structure
```
Pr2Sn3
1.0
6.496 0.000 0.000
-1.531 8.472 0.000
-1.337 -3.666 10.595
Pr Sn
8 12
Direct
0.042 0.249 0.444
0.126 0.254 0.884
0.332 0.532 0.245
0.443 0.070 0.164
0.557 0.930 0.836
0.668 0.468 0.755
0.874 0.746 0.116
0.958 0.751 0.556
0.049 0.853 0.879
0.177 0.537 0.723
0.222 0.906 0.364
0.324 0.102 0.639
0.356 0.666 0.999
0.437 0.669 0.551
0.563 0.331 0.449
0.644 0.334 0.001
0.676 0.898 0.361
0.778 0.094 0.636
0.823 0.463 0.277
0.951 0.147 0.121
```

Principal peaks in the range 2θ from 10° to 90°, in order of falling intensity:
hkl, 2θ (°), I (rel.)
0 1 -4, 31.96, 100
0 2 2, 32.13, 71
0 3 -2, 32.25, 65
2 1 -2, 32.63, 58
2 0 2, 35.78, 28
2 1 -1, 31.64, 28
-2 1 3, 37.00, 27
1 -3 0, 33.42, 25

Entry 2:
This entry pairs a crystal structure of IrC with its simulated PXRD pattern. Radiation: Cu Kα. Structure: DFT lattice parameters and positions (GGA-PBE).

Crystal structure
```
IrC
1.0
3.050 0.000 0.000
-1.525 2.642 0.000
0.000 0.000 2.673
Ir C
1 1
Direct
0.000 0.000 0.000
0.333 0.667 0.500
```

Principal peaks in the range 2θ from 10° to 90°, in order of falling intensity:
hkl, 2θ (°), I (rel.)
1 0 0, 33.94, 100
1 0 1, 48.44, 83
0 0 1, 33.52, 32
1 1 1, 71.18, 23
1 1 0, 60.73, 22
2 0 1, 81.24, 19
1 0 2, 80.54, 18
2 0 0, 71.42, 12

Entry 3:
This entry pairs a crystal structure of ThNb4O12 with its simulated PXRD pattern. Radiation: Cu Kα. Structure: DFT lattice parameters and positions (GGA-PBE).

Crystal structure
```
ThNb4O12
1.0
5.616 0.000 0.000
0.000 15.812 0.000
0.000 0.000 5.556
Th Nb O
2 8 24
Direct
0.250 0.250 0.239
0.750 0.750 0.761
0.250 0.119 0.738
0.250 0.381 0.738
0.250 0.622 0.761
0.250 0.878 0.761
0.750 0.122 0.239
0.750 0.378 0.239
0.750 0.619 0.262
0.750 0.881 0.262
0.008 0.118 0.009
0.008 0.382 0.009
0.016 0.151 0.487
0.016 0.349 0.487
0.250 0.000 0.682
0.250 0.250 0.833
0.250 0.500 0.682
0.250 0.750 0.805
0.484 0.151 0.487
0.484 0.349 0.487
0.492 0.118 0.009
0.492 0.382 0.009
0.508 0.618 0.991
0.508 0.882 0.991
0.516 0.651 0.513
0.516 0.849 0.513
0.750 0.000 0.318
0.750 0.250 0.195
0.750 0.500 0.318
0.750 0.750 0.167
0.984 0.651 0.513
0.984 0.849 0.513
0.992 0.618 0.991
0.992 0.882 0.991
```

Principal peaks in the range 2θ from 10° to 90°, in order of falling intensity:
hkl, 2θ (°), I (rel.)
1 4 1, 32.03, 100
2 0 2, 45.94, 53
0 2 0, 11.19, 46
0 1 1, 16.91, 44
1 1 0, 16.75, 42
1 2 1, 25.20, 37
1 0 1, 22.50, 33
2 8 0, 56.92, 32

Entry 4:
This entry pairs a crystal structure of VCoN2 with its simulated PXRD pattern. Radiation: Cu Kα. Structure: DFT lattice parameters and positions (GGA-PBE).

Crystal structure
```
VCoN2
1.0
2.837 0.000 0.000
-1.419 2.457 0.000
0.000 0.000 9.589
V Co N
2 2 4
Direct
0.333 0.667 0.250
0.667 0.333 0.750
0.000 0.000 0.000
0.000 0.000 0.500
0.333 0.667 0.621
0.333 0.667 0.879
0.667 0.333 0.121
0.667 0.333 0.379
```

Principal peaks in the range 2θ from 10° to 90°, in order of falling intensity:
hkl, 2θ (°), I (rel.)
1 0 2, 41.28, 100
1 0 3, 46.62, 32
____________

• Assignment:
What is needed: write out the block further up without additions.

• Written answer:
Entry 1:
This entry pairs a crystal structure of Pr2Sn3 with its simulated PXRD pattern. Radiation: Cu Kα. Structure: DFT lattice parameters and positions (GGA-PBE).

Crystal structure
```
Pr2Sn3
1.0
6.496 0.000 0.000
-1.531 8.472 0.000
-1.337 -3.666 10.595
Pr Sn
8 12
Direct
0.042 0.249 0.444
0.126 0.254 0.884
0.332 0.532 0.245
0.443 0.070 0.164
0.557 0.930 0.836
0.668 0.468 0.755
0.874 0.746 0.116
0.958 0.751 0.556
0.049 0.853 0.879
0.177 0.537 0.723
0.222 0.906 0.364
0.324 0.102 0.639
0.356 0.666 0.999
0.437 0.669 0.551
0.563 0.331 0.449
0.644 0.334 0.001
0.676 0.898 0.361
0.778 0.094 0.636
0.823 0.463 0.277
0.951 0.147 0.121
```

Principal peaks in the range 2θ from 10° to 90°, in order of falling intensity:
hkl, 2θ (°), I (rel.)
0 1 -4, 31.96, 100
0 2 2, 32.13, 71
0 3 -2, 32.25, 65
2 1 -2, 32.63, 58
2 0 2, 35.78, 28
2 1 -1, 31.64, 28
-2 1 3, 37.00, 27
1 -3 0, 33.42, 25

Entry 2:
This entry pairs a crystal structure of IrC with its simulated PXRD pattern. Radiation: Cu Kα. Structure: DFT lattice parameters and positions (GGA-PBE).

Crystal structure
```
IrC
1.0
3.050 0.000 0.000
-1.525 2.642 0.000
0.000 0.000 2.673
Ir C
1 1
Direct
0.000 0.000 0.000
0.333 0.667 0.500
```

Principal peaks in the range 2θ from 10° to 90°, in order of falling intensity:
hkl, 2θ (°), I (rel.)
1 0 0, 33.94, 100
1 0 1, 48.44, 83
0 0 1, 33.52, 32
1 1 1, 71.18, 23
1 1 0, 60.73, 22
2 0 1, 81.24, 19
1 0 2, 80.54, 18
2 0 0, 71.42, 12

Entry 3:
This entry pairs a crystal structure of ThNb4O12 with its simulated PXRD pattern. Radiation: Cu Kα. Structure: DFT lattice parameters and positions (GGA-PBE).

Crystal structure
```
ThNb4O12
1.0
5.616 0.000 0.000
0.000 15.812 0.000
0.000 0.000 5.556
Th Nb O
2 8 24
Direct
0.250 0.250 0.239
0.750 0.750 0.761
0.250 0.119 0.738
0.250 0.381 0.738
0.250 0.622 0.761
0.250 0.878 0.761
0.750 0.122 0.239
0.750 0.378 0.239
0.750 0.619 0.262
0.750 0.881 0.262
0.008 0.118 0.009
0.008 0.382 0.009
0.016 0.151 0.487
0.016 0.349 0.487
0.250 0.000 0.682
0.250 0.250 0.833
0.250 0.500 0.682
0.250 0.750 0.805
0.484 0.151 0.487
0.484 0.349 0.487
0.492 0.118 0.009
0.492 0.382 0.009
0.508 0.618 0.991
0.508 0.882 0.991
0.516 0.651 0.513
0.516 0.849 0.513
0.750 0.000 0.318
0.750 0.250 0.195
0.750 0.500 0.318
0.750 0.750 0.167
0.984 0.651 0.513
0.984 0.849 0.513
0.992 0.618 0.991
0.992 0.882 0.991
```

Principal peaks in the range 2θ from 10° to 90°, in order of falling intensity:
hkl, 2θ (°), I (rel.)
1 4 1, 32.03, 100
2 0 2, 45.94, 53
0 2 0, 11.19, 46
0 1 1, 16.91, 44
1 1 0, 16.75, 42
1 2 1, 25.20, 37
1 0 1, 22.50, 33
2 8 0, 56.92, 32

Entry 4:
This entry pairs a crystal structure of VCoN2 with its simulated PXRD pattern. Radiation: Cu Kα. Structure: DFT lattice parameters and positions (GGA-PBE).

Crystal structure
```
VCoN2
1.0
2.837 0.000 0.000
-1.419 2.457 0.000
0.000 0.000 9.589
V Co N
2 2 4
Direct
0.333 0.667 0.250
0.667 0.333 0.750
0.000 0.000 0.000
0.000 0.000 0.500
0.333 0.667 0.621
0.333 0.667 0.879
0.667 0.333 0.121
0.667 0.333 0.379
```

Principal peaks in the range 2θ from 10° to 90°, in order of falling intensity:
hkl, 2θ (°), I (rel.)
1 0 2, 41.28, 100
1 0 3, 46.62, 32